Now type out the listing further below without altering anything.

┌──
A molecular structure, C27H45CaN3O5S2. Source: the OMol25 dataset; level of theory: wB97M-V/def2-TZVPD.

Last column: Mulliken charge in e.
Element x y z (Å)
H  4.11284  2.43811  -0.65667  0.185
H  -4.61071  -2.97162  -3.34263  0.366
C  2.17249  1.80945  2.48596  -0.921
H  -0.23631  0.34796  3.65862  -0.084
O  1.13802  -2.15662  1.12987  0.423
H  3.60296  4.37476  0.67082  0.487
H  5.28716  3.42708  4.48308  0.182
H  2.04993  2.37325  -2.95248  0.184
C  2.78920  3.61066  0.65449  0.833
H  -4.34187  1.41124  -4.07957  0.450
C  -0.79672  -3.16891  2.14923  -0.707
C  0.14110  0.52188  4.65826  -1.420
C  4.46579  2.90205  3.95280  -1.070
H  -1.45784  -4.09282  2.13885  0.284
H  0.40328  -4.07046  0.59126  0.430
C  -2.46669  -2.43794  0.56844  -0.708
C  -1.08898  1.72991  -2.69290  -0.448
C  2.50369  1.48682  3.88913  0.455
H  0.77296  4.06417  -0.23682  0.340
H  -2.89641  -1.47540  0.30986  -0.210
O  -4.73194  -0.73185  -5.97157  -0.767
H  2.16683  -2.97063  -0.41402  0.495
N  -0.90016  1.53358  -4.06201  0.126
C  -5.42450  0.20222  -2.51545  -0.904
H  2.32121  1.98688  -0.70942  -0.300
S  -3.10628  1.00676  -0.04233  -0.982
H  3.44614  -0.73411  -0.73206  0.294
N  1.28305  1.17105  1.75562  -0.283
C  3.09625  2.83459  1.96089  0.451
O  1.36967  -0.45389  -1.09727  0.541
C  -5.53843  -1.34127  -2.31539  -0.026
H  1.89422  -0.89140  2.91112  -0.155
H  -6.58838  -1.59483  -2.04259  0.386
H  1.43583  -1.79661  4.44164  0.309
C  1.71127  0.35838  4.62931  0.160
H  2.88943  3.45483  -1.48255  0.582
H  -4.87095  -1.68185  -1.53401  -0.379
H  -0.24481  -0.18174  5.39258  0.523
H  -0.16813  1.50874  4.99959  0.362
H  -0.39045  -2.66363  -2.91734  0.448
C  -4.30970  0.41499  -3.51048  0.836
C  0.07243  -2.33638  -1.96842  -0.744
C  2.46137  -0.84509  -0.23442  -0.215
C  1.02059  2.08059  -3.19938  -0.090
H  0.74029  1.78264  -5.42290  0.366
H  -6.38065  0.47684  -2.93301  0.356
H  -5.15043  0.65287  -1.58559  0.282
H  1.18737  -3.95108  2.16755  0.412
C  -1.77652  -3.00774  -0.66541  -0.374
H  0.83366  3.81303  1.40088  0.211
O  -0.93347  -1.90010  -1.06289  0.709
H  -0.60051  -2.95546  3.15450  0.467
Ca  -0.44050  0.49163  0.58487  0.521
H  2.42904  -0.15063  0.58797  -0.483
S  -4.03551  -0.95785  -4.60521  0.451
H  -3.31466  -2.97830  0.97628  0.300
H  0.65935  -0.41953  -2.91866  -0.027
C  0.41860  1.76161  -4.36281  -0.806
H  1.39996  5.29127  0.83929  0.299
H  0.55750  -3.18235  -1.51203  0.274
C  0.55771  -3.41006  1.46238  -0.882
C  3.05802  2.80821  -0.60837  -0.964
H  -1.63221  1.17535  -4.66430  0.195
H  3.22266  -2.50221  0.94911  0.497
H  4.84763  3.98575  2.21709  0.320
C  1.42498  4.23221  0.63254  -1.528
H  -2.36322  -3.23120  -1.54346  0.277
C  2.31171  -2.23181  0.38561  -0.933
C  1.06244  -1.21608  -2.25928  -0.404
C  3.58330  2.01736  4.58246  -0.366
O  -1.56595  -2.11195  1.63707  -0.179
H  3.12915  -1.18129  4.17231  0.401
H  -1.19743  -3.91802  -0.40689  0.366
H  -2.02753  1.68996  -2.11409  0.277
C  -5.10652  -2.03852  -3.62555  -0.717
C  4.20356  3.24797  2.63132  -0.605
C  2.06511  -1.00603  3.99904  -0.873
N  0.04859  2.10952  -2.16512  0.059
H  2.00224  0.29440  5.66883  0.472
H  -5.86770  -2.31687  -4.34951  0.426
H  -3.39726  0.41997  -2.86344  -1.002
H  1.94303  -1.66602  -2.71364  0.254
H  3.66572  1.62954  5.61143  0.229

Properties
max |F|	2.33	eV/Å
energy relative to the best compared isomer or geometry (same formula, charge and spin)	0.000	eV
HOMO	0.5	eV
multiplicity	1
calculated total energy	-3070.1402	hartree
total charge	-2
HOMO-LUMO gap	3.5	eV

***

A molecular structure, C27H45FeOSi4Te. Source: the OMol25 dataset; level of theory: wB97M-V/def2-TZVPD.

Last column: Mulliken charge in e.
Element x y z (Å)
H  1.89155  3.02104  2.14094  0.355
C  -0.09989  -0.92296  -6.65639  -0.155
C  -1.00189  2.21111  -1.27366  -0.746
C  -1.44248  -0.89138  -5.91628  -0.403
C  -0.88831  -2.15964  -0.37424  -1.061
C  0.55440  -0.87369  -9.08570  -0.485
Si  -0.00357  -2.26928  3.82487  1.010
└──

A molecular structure, C27H45CaN3O5S2. Source: the OMol25 dataset; level of theory: wB97M-V/def2-TZVPD.

Last column: Mulliken charge in e.
Element x y z (Å)
H  4.11284  2.43811  -0.65667  0.185
H  -4.61071  -2.97162  -3.34263  0.366
C  2.17249  1.80945  2.48596  -0.921
H  -0.23631  0.34796  3.65862  -0.084
O  1.13802  -2.15662  1.12987  0.423
H  3.60296  4.37476  0.67082  0.487
H  5.28716  3.42708  4.48308  0.182
H  2.04993  2.37325  -2.95248  0.184
C  2.78920  3.61066  0.65449  0.833
H  -4.34187  1.41124  -4.07957  0.450
C  -0.79672  -3.16891  2.14923  -0.707
C  0.14110  0.52188  4.65826  -1.420
C  4.46579  2.90205  3.95280  -1.070
H  -1.45784  -4.09282  2.13885  0.284
H  0.40328  -4.07046  0.59126  0.430
C  -2.46669  -2.43794  0.56844  -0.708
C  -1.08898  1.72991  -2.69290  -0.448
C  2.50369  1.48682  3.88913  0.455
H  0.77296  4.06417  -0.23682  0.340
H  -2.89641  -1.47540  0.30986  -0.210
O  -4.73194  -0.73185  -5.97157  -0.767
H  2.16683  -2.97063  -0.41402  0.495
N  -0.90016  1.53358  -4.06201  0.126
C  -5.42450  0.20222  -2.51545  -0.904
H  2.32121  1.98688  -0.70942  -0.300
S  -3.10628  1.00676  -0.04233  -0.982
H  3.44614  -0.73411  -0.73206  0.294
N  1.28305  1.17105  1.75562  -0.283
C  3.09625  2.83459  1.96089  0.451
O  1.36967  -0.45389  -1.09727  0.541
C  -5.53843  -1.34127  -2.31539  -0.026
H  1.89422  -0.89140  2.91112  -0.155
H  -6.58838  -1.59483  -2.04259  0.386
H  1.43583  -1.79661  4.44164  0.309
C  1.71127  0.35838  4.62931  0.160
H  2.88943  3.45483  -1.48255  0.582
H  -4.87095  -1.68185  -1.53401  -0.379
H  -0.24481  -0.18174  5.39258  0.523
H  -0.16813  1.50874  4.99959  0.362
H  -0.39045  -2.66363  -2.91734  0.448
C  -4.30970  0.41499  -3.51048  0.836
C  0.07243  -2.33638  -1.96842  -0.744
C  2.46137  -0.84509  -0.23442  -0.215
C  1.02059  2.08059  -3.19938  -0.090
H  0.74029  1.78264  -5.42290  0.366
H  -6.38065  0.47684  -2.93301  0.356
H  -5.15043  0.65287  -1.58559  0.282
H  1.18737  -3.95108  2.16755  0.412
C  -1.77652  -3.00774  -0.66541  -0.374
H  0.83366  3.81303  1.40088  0.211
O  -0.93347  -1.90010  -1.06289  0.709
H  -0.60051  -2.95546  3.15450  0.467
Ca  -0.44050  0.49163  0.58487  0.521
H  2.42904  -0.15063  0.58797  -0.483
S  -4.03551  -0.95785  -4.60521  0.451
H  -3.31466  -2.97830  0.97628  0.300
H  0.65935  -0.41953  -2.91866  -0.027
C  0.41860  1.76161  -4.36281  -0.806
H  1.39996  5.29127  0.83929  0.299
H  0.55750  -3.18235  -1.51203  0.274
C  0.55771  -3.41006  1.46238  -0.882
C  3.05802  2.80821  -0.60837  -0.964
H  -1.63221  1.17535  -4.66430  0.195
H  3.22266  -2.50221  0.94911  0.497
H  4.84763  3.98575  2.21709  0.320
C  1.42498  4.23221  0.63254  -1.528
H  -2.36322  -3.23120  -1.54346  0.277
C  2.31171  -2.23181  0.38561  -0.933
C  1.06244  -1.21608  -2.25928  -0.404
C  3.58330  2.01736  4.58246  -0.366
O  -1.56595  -2.11195  1.63707  -0.179
H  3.12915  -1.18129  4.17231  0.401
H  -1.19743  -3.91802  -0.40689  0.366
H  -2.02753  1.68996  -2.11409  0.277
C  -5.10652  -2.03852  -3.62555  -0.717
C  4.20356  3.24797  2.63132  -0.605
C  2.06511  -1.00603  3.99904  -0.873
N  0.04859  2.10952  -2.16512  0.059
H  2.00224  0.29440  5.66883  0.472
H  -5.86770  -2.31687  -4.34951  0.426
H  -3.39726  0.41997  -2.86344  -1.002
H  1.94303  -1.66602  -2.71364  0.254
H  3.66572  1.62954  5.61143  0.229

Properties
max |F|	2.33	eV/Å
energy relative to the best compared isomer or geometry (same formula, charge and spin)	0.000	eV
HOMO	0.5	eV
multiplicity	1
calculated total energy	-3070.1402	hartree
total charge	-2
HOMO-LUMO gap	3.5	eV

***

A molecular structure, C27H45FeOSi4Te. Source: the OMol25 dataset; level of theory: wB97M-V/def2-TZVPD.

Last column: Mulliken charge in e.
Element x y z (Å)
H  1.89155  3.02104  2.14094  0.355
C  -0.09989  -0.92296  -6.65639  -0.155
C  -1.00189  2.21111  -1.27366  -0.746
C  -1.44248  -0.89138  -5.91628  -0.403
C  -0.88831  -2.15964  -0.37424  -1.061
C  0.55440  -0.87369  -9.08570  -0.485
Si  -0.00357  -2.26928  3.82487  1.010